Now return the block further down from the first line to the one with "data_NdSmMoN4" character by character.
+++
# 1
The following is a theoretical XRD peak list of LaTlInGa2. It was derived from a structure optimized by DFT (PBE), using a wavelength of 1.5418 Å.

Main lines, by angle (10 to 90 degrees two-theta):
| h k l | 2θ/deg | d (Å) | Rel. int. |
| --- | --- | --- | --- |
| 1 0 0 | 16.65 | 5.323 | 49 |
| 1 0 1 | 23.09 | 3.852 | 69 |
| 1 1 0 | 23.64 | 3.764 | 64 |
| 1 1 1 | 28.60 | 3.121 | 35 |
| 0 0 2 | 32.07 | 2.791 | 57 |
| 2 0 0 | 33.68 | 2.661 | 100 |
| 1 1 2 | 40.23 | 2.242 | 32 |
| 2 0 2 | 47.19 | 1.926 | 77 |
| 2 2 0 | 48.36 | 1.882 | 36 |
| 2 2 2 | 59.22 | 1.560 | 39 |

```
data_LaTlInGa2
_chemical_formula_sum 'La1 Tl1 In1 Ga2'
_space_group_name_H-M_alt 'P 4/m m m'
_space_group_IT_number 123
_space_group_name_Hall '-P 4 2'
_cell_length_a 5.323
_cell_length_b 5.323
_cell_length_c 5.582
_cell_angle_alpha 90.00
_cell_angle_beta 90.00
_cell_angle_gamma 90.00
loop_
_atom_site_label
_atom_site_fract_x
_atom_site_fract_y
_atom_site_fract_z
_atom_site_occupancy
La1 0.000 0.000 0.000 1
Tl1 0.500 0.500 0.500 1
In1 0.500 0.500 0.000 1
Ga1 0.000 0.500 0.500 1
```



# 2
The following is a theoretical XRD peak list of Pm6Fe2Cu. It was derived from a structure optimized by DFT (PBE), using a wavelength of 1.5418 Å.

Main lines, by angle (10 to 90 degrees two-theta):
| h k l | 2θ/deg | d (Å) | Rel. int. |
| --- | --- | --- | --- |
| 0 1 3 | 28.22 | 3.162 | 20 |
| 0 3 1 | 28.90 | 3.090 | 20 |
| 3 1 0 | 29.20 | 3.058 | 22 |
| 2 2 2 | 31.61 | 2.831 | 100 |
| 2 1 3 | 33.87 | 2.646 | 46 |
| 1 3 2 | 34.18 | 2.624 | 34 |
| 2 3 1 | 34.46 | 2.602 | 27 |
| 3 2 1 | 34.58 | 2.594 | 18 |
| 4 0 0 | 37.25 | 2.414 | 23 |
| 5 3 2 | 58.58 | 1.576 | 23 |

```
data_Pm6Fe2Cu
_chemical_formula_sum 'Pm24 Fe8 Cu4'
_space_group_name_H-M_alt 'I m m m'
_space_group_IT_number 71
_space_group_name_Hall '-I 2 2'
_cell_length_a 9.656
_cell_length_b 9.742
_cell_length_c 10.034
_cell_angle_alpha 90.00
_cell_angle_beta 90.00
_cell_angle_gamma 90.00
loop_
_atom_site_label
_atom_site_fract_x
_atom_site_fract_y
_atom_site_fract_z
_atom_site_occupancy
Pm1 0.000 0.202 0.218 1
Pm2 0.205 0.500 0.183 1
Pm3 0.211 0.316 0.500 1
Fe1 0.000 0.384 0.000 1
Fe2 0.000 0.500 0.391 1
Cu1 0.000 0.000 0.000 1
Cu2 0.000 0.000 0.500 1
```



# 3
The following is a theoretical XRD peak list of TlCuTe2. It was derived from a structure optimized by DFT (PBE), using a wavelength of 1.5418 Å.

Main lines, by angle (10 to 90 degrees two-theta):
| h k l | 2θ/deg | d (Å) | Rel. int. |
| --- | --- | --- | --- |
| 1 3 0 | 27.88 | 3.200 | 72 |
| 0 4 0 | 30.94 | 2.890 | 71 |
| 2 0 0 | 31.16 | 2.870 | 100 |
| 1 3 -2 | 35.63 | 2.519 | 27 |
| 0 4 2 | 44.32 | 2.044 | 19 |
| 2 4 0 | 44.49 | 2.037 | 55 |
| 0 6 1 | 49.89 | 1.828 | 13 |
| 3 5 -1 | 58.39 | 1.581 | 16 |
| 4 2 -1 | 60.40 | 1.533 | 27 |
| 2 6 1 | 64.61 | 1.443 | 15 |

```
data_TlCuTe2
_chemical_formula_sum 'Tl4 Cu4 Te8'
_space_group_name_H-M_alt 'C 1 c 1'
_space_group_IT_number 9
_cell_length_a 6.613
_cell_length_b 11.567
_cell_length_c 6.655
_cell_angle_alpha 90.00
_cell_angle_beta 119.75
_cell_angle_gamma 90.00
loop_
_space_group_symop_operation_xyz
'x,y,z'
'x,-y,z+1/2'
'x+1/2,y+1/2,z'
'x+1/2,-y+1/2,z+1/2'
loop_
_atom_site_label
_atom_site_fract_x
_atom_site_fract_y
_atom_site_fract_z
_atom_site_occupancy
Tl1 0.000 0.125 0.000 1
Cu1 0.001 0.375 0.501 1
Te1 0.338 0.337 0.924 1
Te2 0.414 0.086 0.578 1
```



# 4
The following is a theoretical XRD peak list of NdSmMoN4. It was derived from a structure optimized by DFT (PBE), using a wavelength of 1.5418 Å.

Main lines, by angle (10 to 90 degrees two-theta):
| h k l | 2θ/deg | d (Å) | Rel. int. |
| --- | --- | --- | --- |
| 1 0 3 | 31.12 | 2.874 | 100 |
| 1 1 0 | 32.26 | 2.775 | 60 |
| 0 0 6 | 42.85 | 2.110 | 11 |
| 1 1 4 | 43.36 | 2.087 | 13 |
| 2 0 0 | 46.26 | 1.962 | 28 |
| 1 1 6 | 54.64 | 1.680 | 16 |
| 2 1 3 | 56.81 | 1.621 | 37 |
| 2 0 6 | 64.89 | 1.437 | 12 |
| 2 2 0 | 67.50 | 1.388 | 8 |
| 3 1 0 | 76.80 | 1.241 | 10 |

```
data_NdSmMoN4
_chemical_formula_sum 'Nd2 Sm2 Mo2 N8'
+++
# 1
The following is a theoretical XRD peak list of LaTlInGa2. It was derived from a structure optimized by DFT (PBE), using a wavelength of 1.5418 Å.

Main lines, by angle (10 to 90 degrees two-theta):
| h k l | 2θ/deg | d (Å) | Rel. int. |
| --- | --- | --- | --- |
| 1 0 0 | 16.65 | 5.323 | 49 |
| 1 0 1 | 23.09 | 3.852 | 69 |
| 1 1 0 | 23.64 | 3.764 | 64 |
| 1 1 1 | 28.60 | 3.121 | 35 |
| 0 0 2 | 32.07 | 2.791 | 57 |
| 2 0 0 | 33.68 | 2.661 | 100 |
| 1 1 2 | 40.23 | 2.242 | 32 |
| 2 0 2 | 47.19 | 1.926 | 77 |
| 2 2 0 | 48.36 | 1.882 | 36 |
| 2 2 2 | 59.22 | 1.560 | 39 |

```
data_LaTlInGa2
_chemical_formula_sum 'La1 Tl1 In1 Ga2'
_space_group_name_H-M_alt 'P 4/m m m'
_space_group_IT_number 123
_space_group_name_Hall '-P 4 2'
_cell_length_a 5.323
_cell_length_b 5.323
_cell_length_c 5.582
_cell_angle_alpha 90.00
_cell_angle_beta 90.00
_cell_angle_gamma 90.00
loop_
_atom_site_label
_atom_site_fract_x
_atom_site_fract_y
_atom_site_fract_z
_atom_site_occupancy
La1 0.000 0.000 0.000 1
Tl1 0.500 0.500 0.500 1
In1 0.500 0.500 0.000 1
Ga1 0.000 0.500 0.500 1
```



# 2
The following is a theoretical XRD peak list of Pm6Fe2Cu. It was derived from a structure optimized by DFT (PBE), using a wavelength of 1.5418 Å.

Main lines, by angle (10 to 90 degrees two-theta):
| h k l | 2θ/deg | d (Å) | Rel. int. |
| --- | --- | --- | --- |
| 0 1 3 | 28.22 | 3.162 | 20 |
| 0 3 1 | 28.90 | 3.090 | 20 |
| 3 1 0 | 29.20 | 3.058 | 22 |
| 2 2 2 | 31.61 | 2.831 | 100 |
| 2 1 3 | 33.87 | 2.646 | 46 |
| 1 3 2 | 34.18 | 2.624 | 34 |
| 2 3 1 | 34.46 | 2.602 | 27 |
| 3 2 1 | 34.58 | 2.594 | 18 |
| 4 0 0 | 37.25 | 2.414 | 23 |
| 5 3 2 | 58.58 | 1.576 | 23 |

```
data_Pm6Fe2Cu
_chemical_formula_sum 'Pm24 Fe8 Cu4'
_space_group_name_H-M_alt 'I m m m'
_space_group_IT_number 71
_space_group_name_Hall '-I 2 2'
_cell_length_a 9.656
_cell_length_b 9.742
_cell_length_c 10.034
_cell_angle_alpha 90.00
_cell_angle_beta 90.00
_cell_angle_gamma 90.00
loop_
_atom_site_label
_atom_site_fract_x
_atom_site_fract_y
_atom_site_fract_z
_atom_site_occupancy
Pm1 0.000 0.202 0.218 1
Pm2 0.205 0.500 0.183 1
Pm3 0.211 0.316 0.500 1
Fe1 0.000 0.384 0.000 1
Fe2 0.000 0.500 0.391 1
Cu1 0.000 0.000 0.000 1
Cu2 0.000 0.000 0.500 1
```



# 3
The following is a theoretical XRD peak list of TlCuTe2. It was derived from a structure optimized by DFT (PBE), using a wavelength of 1.5418 Å.

Main lines, by angle (10 to 90 degrees two-theta):
| h k l | 2θ/deg | d (Å) | Rel. int. |
| --- | --- | --- | --- |
| 1 3 0 | 27.88 | 3.200 | 72 |
| 0 4 0 | 30.94 | 2.890 | 71 |
| 2 0 0 | 31.16 | 2.870 | 100 |
| 1 3 -2 | 35.63 | 2.519 | 27 |
| 0 4 2 | 44.32 | 2.044 | 19 |
| 2 4 0 | 44.49 | 2.037 | 55 |
| 0 6 1 | 49.89 | 1.828 | 13 |
| 3 5 -1 | 58.39 | 1.581 | 16 |
| 4 2 -1 | 60.40 | 1.533 | 27 |
| 2 6 1 | 64.61 | 1.443 | 15 |

```
data_TlCuTe2
_chemical_formula_sum 'Tl4 Cu4 Te8'
_space_group_name_H-M_alt 'C 1 c 1'
_space_group_IT_number 9
_cell_length_a 6.613
_cell_length_b 11.567
_cell_length_c 6.655
_cell_angle_alpha 90.00
_cell_angle_beta 119.75
_cell_angle_gamma 90.00
loop_
_space_group_symop_operation_xyz
'x,y,z'
'x,-y,z+1/2'
'x+1/2,y+1/2,z'
'x+1/2,-y+1/2,z+1/2'
loop_
_atom_site_label
_atom_site_fract_x
_atom_site_fract_y
_atom_site_fract_z
_atom_site_occupancy
Tl1 0.000 0.125 0.000 1
Cu1 0.001 0.375 0.501 1
Te1 0.338 0.337 0.924 1
Te2 0.414 0.086 0.578 1
```



# 4
The following is a theoretical XRD peak list of NdSmMoN4. It was derived from a structure optimized by DFT (PBE), using a wavelength of 1.5418 Å.

Main lines, by angle (10 to 90 degrees two-theta):
| h k l | 2θ/deg | d (Å) | Rel. int. |
| --- | --- | --- | --- |
| 1 0 3 | 31.12 | 2.874 | 100 |
| 1 1 0 | 32.26 | 2.775 | 60 |
| 0 0 6 | 42.85 | 2.110 | 11 |
| 1 1 4 | 43.36 | 2.087 | 13 |
| 2 0 0 | 46.26 | 1.962 | 28 |
| 1 1 6 | 54.64 | 1.680 | 16 |
| 2 1 3 | 56.81 | 1.621 | 37 |
| 2 0 6 | 64.89 | 1.437 | 12 |
| 2 2 0 | 67.50 | 1.388 | 8 |
| 3 1 0 | 76.80 | 1.241 | 10 |

```
data_NdSmMoN4